Stress Management, Well-being and Self-Care

Original cover art for THE TALE OF PETER RABBIT

Tolerating Uncertainty

by James Porter May 24, 2024

Pictured above: Original cover art for THE TALE OF PETER RABBIT

When my wife told me there was an exhibit at the Morgan Museum and Library in Manhattan of original drawings by author Beatrix Potter, I wasn’t at all certain I wanted to go. While I had grown up listening to and eventually reading her books like The Tale of Peter Rabbit and Benjamin Bunny, I wasn’t at all sure this would mean anything to me now.

If you read my blog three weeks ago about going to see the eclipse, you’ll start to see some interesting parallels between these two “stories.” Both took place in New York. The Morgan library is in lower Manhattan while the zone of totality ran through upstate New York fairly near the Canadian border. In both cases, I had to battle with overcoming uncertainty in order to get myself to go. 

The weather forecast for the eclipse was cloudy and the weather forecast for the trip into Manhattan was looking like rain. I had no desire to walk around Manhattan in the pouring rain to see an exhibit about a children’s author who wrote some books a hundred years ago, just like I had no desire to drive six hours to upstate NY if I wasn't going to even see the eclipse. 

As it turned out the eclipse was incredible. And if I hadn’t been willing to tolerate some uncertainty about the weather, I would have never experienced what turned out to be a truly amazing event. But could a trip to NY on a rainy day, to see this Beatrix Potter exhibit, have even a small chance of such a satisfying pay off? I doubted it.

Park Ave Sculpture

Between two parts of the text: molecular data =
____________
[1]
Here is a cluster of 18 separate species, C91H120NO36S in total at a distorted geometry from OMol25. Energies are from ωB97M-V/def2-TZVPD.

XYZ file:
```
249
Properties=species:S:1:pos:R:3:mulliken_charge:R:1
C -0.26574 -0.54696 2.94182 1.79
C -0.41675 0.84793 2.34436 2.75
C 0.57809 0.95771 1.16471 1.23
C 0.26015 -0.04406 0.12623 0.97
N 0.59486 0.34104 -1.28739 1.23
C 2.10796 0.07035 -1.48766 -1.11
C 2.16912 -1.42043 -1.54587 0.03
C 0.89584 -1.77494 -2.34744 0.77
C -0.03514 -0.56426 -2.27950 0.66
C 0.33427 1.78226 -1.65110 -1.24
C -1.11498 2.21159 -1.45610 2.17
C -1.28671 3.66429 -1.91977 -1.34
H -0.52986 -1.32698 2.24441 -0.53
H -0.95846 -0.65394 3.80510 -0.25
H 0.79430 -0.75733 3.16587 -1.27
H -0.11184 1.55653 3.15267 -1.02
H -1.44560 1.05994 1.96634 -1.67
H 1.59751 0.90963 1.63187 -0.38
H 0.45963 2.01842 0.83709 -0.36
H -0.79228 -0.26106 0.12880 -0.64
H 0.79835 -0.97495 0.32239 0.08
H 2.22629 0.51923 -2.47632 0.31
H 2.57839 0.65734 -0.73401 0.29
H 3.01904 -1.64156 -2.19105 1.13
H 2.26621 -1.90121 -0.59938 -0.74
H 1.23418 -1.89914 -3.38757 -0.56
H 0.45634 -2.65743 -1.93796 -1.07
H -0.16736 -0.05921 -3.23518 0.19
H -1.05140 -0.81378 -1.96745 -0.68
H 0.59770 1.84355 -2.70485 0.42
H 1.00930 2.41271 -1.06084 0.31
H -1.36432 2.21453 -0.38736 -0.79
H -1.76533 1.46478 -1.90721 -0.68
H -0.51231 4.26720 -1.34966 0.14
H -2.26524 4.12359 -1.80426 0.35
H -0.93988 3.77988 -2.94924 0.14
S -3.62124 -0.88769 -1.55889 0.23
O -2.75501 -0.42752 -0.40748 -0.15
O -2.77260 -1.43204 -2.69502 -0.68
O -4.52484 -1.95209 -1.08483 -0.83
O -4.34328 0.32572 -2.02605 -0.46
O 3.77991 3.75323 -2.87786 -0.61
C 3.47765 3.30886 -3.93955 0.93
O 4.20508 2.46942 -4.63808 -0.34
C 5.53541 2.13130 -4.19952 -0.39
C 5.50189 0.68721 -3.77692 -0.62
C 2.09925 3.49926 -4.62115 -0.87
H 5.81425 2.85702 -3.42677 0.34
H 6.14745 2.26660 -5.07908 0.26
H 5.19754 0.00493 -4.56089 0.28
H 4.83827 0.51536 -2.91250 -0.08
H 6.50566 0.36718 -3.45301 0.48
H 1.51311 4.17747 -4.00944 0.24
H 1.56873 2.53877 -4.71813 0.05
H 2.24767 4.00738 -5.57300 0.52
O 1.64634 -1.79405 7.32727 -0.55
C 0.62226 -2.18634 7.76613 0.63
O 0.10830 -1.81189 8.94380 -0.37
C 0.98972 -0.98214 9.75881 -0.11
C 2.08692 -1.87445 10.22902 -1.33
C -0.31190 -3.21398 7.10780 -0.70
H 0.35222 -0.64554 10.51794 0.47
H 1.37784 -0.10767 9.20612 0.14
H 2.78370 -1.25544 10.75488 0.42
H 2.58805 -2.21833 9.33254 0.34
H 1.62805 -2.63736 10.81228 0.35
H -0.83101 -3.64716 7.95153 0.42
H 0.14065 -3.98173 6.45868 0.34
H -1.03748 -2.62610 6.55039 -0.07
O 0.81509 10.66078 -4.81549 -0.55
C -0.02274 10.99232 -4.00410 0.65
O -0.50528 10.30319 -2.94469 -0.26
C -0.03964 8.95132 -2.92926 -0.21
C -0.84952 8.32735 -1.76842 -0.94
C -0.68433 12.34951 -4.05917 -0.94
H 1.03421 8.88803 -2.65828 0.25
H -0.32225 8.52959 -3.89807 0.33
H -1.91269 8.35756 -1.98568 0.35
H -0.69775 8.90099 -0.85423 0.33
H -0.47926 7.30454 -1.67068 0.16
H -1.33893 12.34694 -4.91723 0.26
H 0.02576 13.14615 -4.25423 0.29
H -1.28749 12.55055 -3.18251 0.29
O 0.86178 2.69684 7.35331 -0.65
____________

But my wife talked me into going, boldly promising that the sun would come out by the time we got there and miraculously, just as it had in upstate NY, the clouds cleared, and it turned out to be a glorious spring day. We even passed by a series of interesting sculptures on our way to the museum on Park Avenue. The day was already turning out well.

When I turned the corner into a second room at The Morgan that focused on the drawings she did for her books, I was surprised to see an original copy of a handwritten note framed prominently on the wall. Potter had sent this note to a friend (who had small children). This letter would form the basis of an idea that would lead to a series of books that would one day sell over 250 million copies.

Beatrix Potter, seated next to her father and her Rupert and her Brother Bertrand
Beatrix Potter, seated next to her father and her Rupert and her Brother Bertrand

To see this big idea packed into one small piece of note paper really addled my brain. I listened on my phone to the museum recording of an actress reading the letter in the voice of Beatrix Potter. Buried in her handwriting in the note before me, I could see little rough sketches of Peter Rabbit, the mischievous bunny, who unlike his well-behaved siblings, was always getting into trouble. That was something I could relate to as a kid who had ADD before anybody knew what ADD was. Those books and those pictures drew me in and helped me learn how to read. 

Something about making this connection, 60 years later, really touched me deep inside. 

So my takeaway from these two somewhat parallel experiences is that despite hearing a voice in my ADD head that always second-guesses EVERY decision, sometimes I have to simply turn down the volume of that voice and forge ahead. That voice all too often creates paralysis by analysis. 

[Unrelated to this entry: records of molecules]
~~~
{"formula": "C21H23AuN5OS2Se", "method": "ωB97M-V with the def2-TZVPD basis set", "symbols": ["Au", "C", "C", "N", "C", "C", "C", "S", "N", "C", "O", "C", "C", "C", "C", "C", "C", "H", "H", "H", "H", "H", "H", "H", "H", "H", "H", "H", "H", "H", "H", "H", "C", "N", "C", "Se", "N", "C", "C", "C", "C", "C", "C", "H", "H", "H", "H", "H", "H", "H", "H", "S", "C", "N"], "positions_angstrom": [[0.63540, 0.00800, 0.27360], [-0.94980, -4.29130, 4.28390], [-1.91230, -3.10760, 4.22620], [-1.23770, -1.87120, 3.90130], [-0.78020, -1.06490, 5.00560], [-1.82080, -0.02920, 5.42630], [-1.09800, -1.51260, 2.60100], [-0.51660, 0.06790, 2.29700], [-1.48070, -2.43930, 1.75010], [-1.56790, -2.34580, 0.42190], [-1.36160, -1.36110, -0.30230], [-2.06980, -3.61750, -0.18680], [-2.54340, -4.65550, 0.61080], [-3.11750, -5.77300, 0.03730], [-3.21330, -5.86770, -1.34180], [-2.71190, -4.85650, -2.14430], [-2.14410, -3.73470, -1.57040], [-1.48430, -5.20300, 4.53860], [-0.17380, -4.12310, 5.02620], [-0.47730, -4.41660, 3.31500], [-2.41970, -2.98080, 5.18660], [-2.66290, -3.28750, 3.45490], [0.13880, -0.55440, 4.70970], [-0.55610, -1.73950, 5.83850], [-1.98140, 0.66170, 4.60510], [-1.46990, 0.52100, 6.29480], [-2.76680, -0.50810, 5.67040], [-2.46090, -4.56460, 1.68120], [-3.50250, -6.56980, 0.66020], [-3.67610, -6.73290, -1.79400], [-2.77310, -4.93660, -3.22080], [-1.75480, -2.92890, -2.17580], [-3.94740, 0.72100, 0.24670], [-3.48190, 0.55620, -1.09490], [-2.33690, 1.08460, -1.59500], [-1.31550, 2.36650, -0.87100], [-2.19150, 0.62210, -2.86550], [-3.23660, -0.20300, -3.18670], [-3.58620, -0.86110, -4.35270], [-4.78850, -1.55400, -4.35300], [-5.60110, -1.60440, -3.22800], [-5.25270, -0.95660, -2.05170], [-4.06430, -0.24380, -2.04590], [-3.22600, 1.33010, 0.78700], [-4.01960, -0.24880, 0.73840], [-4.92290, 1.21140, 0.25450], [-1.35930, 0.80160, -3.40220], [-2.95500, -0.82270, -5.22780], [-5.09910, -2.06370, -5.25170], [-6.52700, -2.15940, -3.27210], [-5.89180, -1.00420, -1.18370], [4.76180, -0.02980, -1.66150], [3.22080, 0.07000, -1.29520], [2.06760, 0.14340, -1.08800]], "forces_ev_per_a": [[0.1221, 0.3978, 0.9224], [-0.1798, 0.2038, -0.0128], [-0.1061, -0.4156, -0.0085], [-0.0570, -0.0668, -0.0092], [-0.0029, 0.3394, 0.1916], [0.1979, -0.1977, -0.0294], [0.0220, 0.2725, -0.0670], [0.1322, 0.4049, -0.1040], [0.0655, -0.6147, 0.4142], [-0.0191, 0.8399, -0.3614], [-0.6560, -0.8378, -0.1343], [-0.1515, -0.2287, -0.3090], [0.0341, 0.0471, -0.0238], [-0.0753, -0.1245, -0.0806], [-0.0370, -0.1403, -0.0800], [-0.0096, -0.0096, -0.1303], [0.0543, 0.1254, 0.1298], [-0.0471, -0.1639, 0.0603], [0.1123, -0.0011, 0.1280], [0.0552, -0.0236, -0.1366], [0.0084, 0.0442, 0.0003], [-0.0062, -0.0044, 0.2172], [-0.0437, -0.1016, 0.0799], [0.0312, 0.0316, -0.0717], [-0.0493, 0.1333, -0.0408], [-0.0043, 0.1365, 0.1420], [-0.1168, -0.0580, 0.0725], [-0.0039, 0.0268, 0.0719], [0.0028, -0.0264, 0.0440], [-0.0346, -0.1061, -0.0427], [-0.0142, -0.0152, -0.0704], [-0.0171, 0.0880, -0.0335], [-0.1477, 0.0627, 0.4635], [0.3781, -0.1765, -0.3422], [-0.0381, 0.6315, -0.1327], [0.4410, 0.5289, 0.3034], [0.0999, -0.2162, 0.2156], [-0.6004, -0.3595, 0.0407], [0.0838, 0.1143, 0.2083], [0.0158, -0.0886, -0.0879], [-0.0629, -0.0817, -0.0198], [0.1848, 0.1141, 0.0496], [-0.1603, -0.3571, -0.6557], [0.0080, -0.0087, -0.0352], [0.0067, -0.0704, -0.0106], [-0.0158, 0.0147, -0.0010], [-0.0538, 0.0847, 0.0824], [0.0430, -0.0027, -0.0746], [-0.0312, -0.0850, -0.0967], [-0.0505, -0.0429, 0.0163], [-0.0181, 0.0336, 0.1147], [1.5685, -0.0720, -0.3498], [-1.7512, 0.0886, 0.1046], [0.8936, -0.0666, -0.5208]], "total_charge": -1, "energy_ha": -4496.70993, "e_above_lowest_kcal_mol": 6.8, "homo_ev": -4.37}
~~~

On Thursday of last week, I attended an all-day seminar on anxiety. The presenter, Dr. Mark Schneider said that anxious people have trouble tolerating uncertainty. “No one can predict the future,” he explained. “Thus, even anxious people have to make decisions based on the best information they have available and even if that information turns out to be faulty, you still have to keep making decisions.” Any decision is usually better than no decision. And this is how we learn to tolerate uncertainty. 

But when a decision turns out to result in seeing something spectacular like a total eclipse, or in reconnecting with an important part of your forgotten youth, you celebrate your good decisions while reminding yourself that at least a certain number of not-so-good decisions, are going to be sprinkled in between.  

James Porter
James Porter
